**Material**
┌──
The following is a simulated powder diffraction line list of SrCaSmMnO6. It was derived from a structure optimized by DFT (GGA+U), using Cu Kα (λ = 1.5418 Å).
Kinematic intensities with the Lorentz-polarization factor, no thermal factor.

Top 6 peaks for 2θ = 10–90°, by angle:
- 18.57°, rel. 19.1
- 30.56°, rel. 100.0
- 43.76°, rel. 35.7
- 54.31°, rel. 38.4
- 63.61°, rel. 20.9
- 88.40°, rel. 20.7

Crystal structure
```
data_SrCaSmMnO6
_chemical_formula_sum 'Sr1 Ca1 Sm1 Mn1 O6'
_symmetry_space_group_name_H-M 'P 1'
_symmetry_Int_Tables_number 1
_cell_length_a 5.8511
_cell_length_b 5.8511
_cell_length_c 5.8511
_cell_angle_alpha 60.00
_cell_angle_beta 60.00
_cell_angle_gamma 60.00
loop_
_symmetry_equiv_pos_as_xyz
'x,y,z'
loop_
_atom_site_label
_atom_site_type_symbol
_atom_site_fract_x
_atom_site_fract_y
_atom_site_fract_z
Sr1 Sr 0.0000 0.0000 0.0000
Ca1 Ca 0.5000 0.5000 0.5000
Sm1 Sm 0.2500 0.2500 0.2500
Mn1 Mn 0.7500 0.7500 0.7500
O1 O 0.5208 0.5208 0.9792
O2 O 0.5208 0.9792 0.5208
O3 O 0.5208 0.9792 0.9792
O4 O 0.9792 0.5208 0.5208
O5 O 0.9792 0.5208 0.9792
O6 O 0.9792 0.9792 0.5208
```
└──
**Wanted**
Transcribe all of the data earlier on without additions.
**Done**
The following is a simulated powder diffraction line list of SrCaSmMnO6. It was derived from a structure optimized by DFT (GGA+U), using Cu Kα (λ = 1.5418 Å).
Kinematic intensities with the Lorentz-polarization factor, no thermal factor.

Top 6 peaks for 2θ = 10–90°, by angle:
- 18.57°, rel. 19.1
- 30.56°, rel. 100.0
- 43.76°, rel. 35.7
- 54.31°, rel. 38.4
- 63.61°, rel. 20.9
- 88.40°, rel. 20.7

Crystal structure
```
data_SrCaSmMnO6
_chemical_formula_sum 'Sr1 Ca1 Sm1 Mn1 O6'
_symmetry_space_group_name_H-M 'P 1'
_symmetry_Int_Tables_number 1
_cell_length_a 5.8511
_cell_length_b 5.8511
_cell_length_c 5.8511
_cell_angle_alpha 60.00
_cell_angle_beta 60.00
_cell_angle_gamma 60.00
loop_
_symmetry_equiv_pos_as_xyz
'x,y,z'
loop_
_atom_site_label
_atom_site_type_symbol
_atom_site_fract_x
_atom_site_fract_y
_atom_site_fract_z
Sr1 Sr 0.0000 0.0000 0.0000
Ca1 Ca 0.5000 0.5000 0.5000
Sm1 Sm 0.2500 0.2500 0.2500
Mn1 Mn 0.7500 0.7500 0.7500
O1 O 0.5208 0.5208 0.9792
O2 O 0.5208 0.9792 0.5208
O3 O 0.5208 0.9792 0.9792
O4 O 0.9792 0.5208 0.5208
O5 O 0.9792 0.5208 0.9792
O6 O 0.9792 0.9792 0.5208
```